Poznámky redaktora
Motor protections
Stall protections
Thermal motor model
2 channel motor temperature measurement PTC PT100
Klixon supervision
Speed feedback error
Over speed
Armature current ripple
Armature over current
Minimum field current
Master-Follower applications
Drives connected Master-Follower application
If motors run with the same
speed torque connected to
the same shaft gearbox are
Five macros are pre-defined and two user macros can
be configured the customer.
Functions basic firmware
Different speed ramp function
Speed control
Torque control
Armature current control
Field current control
Automatic field weakening
E-stop function according Profibus standard
Dual field control
Mechanical brake control
DC breaker control
Interface for fieldbus and module bus
Programmable digital and analogue outputs
Master-Follower bus
16 blocks Adaptive Program
Interface for IEC 61131 programming
12-pulse function parallel, serial, sequential
3-phase field exciter operation
Converter protection (temperature, voltage,. All parameters can accessed by
the serial communication IEC 61131 adaptive
It possible connect
two 12-pulse systems con
verters, T-reactor and motor)
to one 12-pulse transformer.o.
For more information, please
see anu 12-pulse opera
1 000192R 0401 S800 Technical catalog ABB
Only the 11thand 13th, the
23rdand 25th, the 35tha.
This configuration delivers the
same advantages concerning
harmonics the network a
standard 12- pulse application
(see next item), but T-reac-
tor needed. The harmonics
on the side are reduced
[Data records, as found in the file]
+++
This entry pairs a crystal structure of BeCrP with its calculated powder diffraction line list. Radiation: Cu Kα. Structure: a crystal structure in Alexandria, relaxed with GGA-PBE.

Structure:
```
BeCrP
1.0
0.000 3.784 3.838
2.143 0.000 3.838
2.143 3.784 0.000
Be Cr P
2 2 2
Cartesian
2.143 1.257 3.838
2.143 6.312 3.838
2.143 3.784 3.838
3.214 5.677 5.757
1.071 0.712 1.919
1.071 3.072 1.919
```

Largest 10 diffraction maxima, in order of falling intensity, 2θ from 10° to 90°:
- 2θ 43.25, I 100
- 2θ 48.66, I 65
- 2θ 26.57, I 61
- 2θ 55.46, I 45
- 2θ 33.25, I 39
- 2θ 47.37, I 35
- 2θ 23.18, I 21
- 2θ 75.87, I 17
- 2θ 42.86, I 16
- 2θ 77.84, I 16

---

This entry pairs a crystal structure of BeCrPd with its calculated powder diffraction line list. Radiation: Cu Kα. Structure: a crystal structure in Alexandria, relaxed with GGA-PBE.

Structure:
```
BeCrPd
1.0
2.872 0.000 0.000
0.000 2.882 0.000
-0.150 0.000 8.497
Be Cr Pd
2 2 2
Cartesian
0.649 0.721 1.978
2.073 2.162 6.519
0.645 0.721 7.934
2.077 2.162 0.563
0.640 0.721 5.273
2.082 2.162 3.224
```

Largest 10 diffraction maxima, in order of falling intensity, 2θ from 10° to 90°:
- 2θ 44.54, I 100
- 2θ 32.79, I 79
- 2θ 44.87, I 49
- 2θ 10.41, I 34
- 2θ 31.59, I 25
- 2θ 33.11, I 22
- 2θ 45.37, I 22
- 2θ 37.72, I 21
- 2θ 42.56, I 17
- 2θ 74.66, I 16

---

This entry pairs a crystal structure of BeCrPd with its calculated powder diffraction line list. Radiation: Cu Kα. Structure: a crystal structure in Alexandria, relaxed with GGA-PBE.

Structure:
```
BeCrPd
1.0
3.757 0.000 0.000
0.000 2.891 0.000
-1.875 0.000 6.384
Be Cr Pd
2 2 2
Cartesian
0.004 0.000 1.971
1.877 0.000 4.412
0.000 1.445 0.000
1.878 0.000 0.000
0.001 1.445 4.184
1.881 1.445 2.199
```

Largest 10 diffraction maxima, in order of falling intensity, 2θ from 10° to 90°:
- 2θ 44.94, I 100
- 2θ 31.77, I 50
- 2θ 42.48, I 29
- 2θ 30.93, I 27
- 2θ 24.70, I 20
- 2θ 48.47, I 20
- 2θ 79.46, I 16
- 2θ 88.05, I 16
- 2θ 66.39, I 14
- 2θ 34.05, I 14

---

This entry pairs a crystal structure of BeTlCrPd2 with its calculated powder diffraction line list. Radiation: Cu Kα. Structure: a crystal structure in Alexandria, relaxed with GGA-PBE.

Structure:
```
BeTlCrPd2
1.0
4.240 0.000 0.000
0.000 4.240 0.000
0.000 0.000 4.346
Be Tl Cr Pd
1 1 1 2
Cartesian
0.000 0.000 0.000
2.120 2.120 2.173
0.000 0.000 2.173
0.000 2.120 0.000
+++
too, which gives higher ef
quasi 12-pulse
Typical configuration for high power drives connected in
12-pulse parallel, serial sequential application
12-pulse systems are used
for reduced line harmonics,
reduced motor noise level,
enlarged output current or
voltage converter system.
The firmware interface for several fieldbuses and mod
ule bus included.s.
Quasi 12-pulse Master-Follower configuration
The converters are fed by
a 12-pulse transformer with
separated secondary windings
whose phase positions differ
by 30°el.DCS800 firmware
DCS800 basic firmware
DCS800 firmware includes the basic function speed
control, armature current, field current and motor volt
are existing.
The design drive logic enables drive reaction de
fined Profibus standard but can also configured to
adapt classic command structures. The flexible design for command location enables
field bus control master-follower control control
from hardware signals well mixed structure